To do:
What is needed: filter the lines below: keep the lines with the word "energy".
Input:
'''
# 1
Here is a geometry-optimized PaSi2NiPd structure from Alexandria. Energies are from PBE.

Output
**Spin magnetization**: 0.000 μB per atom
**E_form (uncorrected)**: -17.56 kcal/mol of atoms
**DOS at the Fermi energy**: 0.55 states/eV/atom
**E**: -70.25 eV per cell

The structure in CIF format:
```
data_PaSi2NiPd
_cell_length_a 4.048
_cell_length_b 4.048
_cell_length_c 9.878
_cell_angle_alpha 90.00
_cell_angle_beta 90.00
_cell_angle_gamma 90.00
_symmetry_space_group_name_H-M 'I -4 m 2'
_symmetry_Int_Tables_number 119
_symmetry_space_group_name_Hall 'I -4 -2'
loop_
_atom_site_label
_atom_site_type_symbol
_atom_site_fract_x
_atom_site_fract_y
_atom_site_fract_z
Pa1 Pa 0.000 0.000 0.000
Si1 Si 0.000 0.000 0.382
Ni1 Ni 0.000 0.500 0.250
Pd1 Pd 0.000 0.500 0.750
```

---

# 2
Here is a geometry-optimized CdSbMo structure from Alexandria. Energies are from PBE.

Output
**Spin magnetization**: 0.002 μB per atom
**E_form (uncorrected)**: 7.33 kcal/mol of atoms
**DOS at the Fermi energy**: 0.89 states/eV/atom
**E**: -29.83 eV per cell
**Relative energy among the computed polymorphs**: 0.00 eV per formula unit

The structure in CIF format:
```
data_CdSbMo
_cell_length_a 3.480
_cell_length_b 3.480
_cell_length_c 9.977
_cell_angle_alpha 90.00
_cell_angle_beta 90.00
_cell_angle_gamma 90.00
_symmetry_space_group_name_H-M 'I 4 m m'
_symmetry_Int_Tables_number 107
_symmetry_space_group_name_Hall 'I 4 -2'
loop_
_atom_site_label
_atom_site_type_symbol
_atom_site_fract_x
_atom_site_fract_y
_atom_site_fract_z
Cd1 Cd 0.000 0.000 0.000
Sb1 Sb 0.000 0.000 0.693
Mo1 Mo 0.000 0.000 0.323
```

---

# 3
Here is a geometry-optimized Th2GeRh5 structure from Alexandria. Energies are from PBE.

Output
**Spin magnetization**: 0.000 μB per atom
**Energy of formation from the pure elements**: -0.743 eV per atom
**DOS at the Fermi energy**: 0.60 states/eV/atom
**E**: -248.63 eV per cell

The structure in CIF format:
```
data_Th2GeRh5
_cell_length_a 8.315
_cell_length_b 5.890
_cell_length_c 12.389
_cell_angle_alpha 90.00
_cell_angle_beta 90.00
_cell_angle_gamma 90.00
_symmetry_space_group_name_H-M 'P n m a'
_symmetry_Int_Tables_number 62
loop_
_symmetry_equiv_pos_as_xyz
'x,y,z'
'-x,-y,-z'
'-x+1/2,-y,z+1/2'
'x+1/2,y,-z+1/2'
'x+1/2,-y+1/2,-z+1/2'
'-x+1/2,y+1/2,z+1/2'
'-x,y+1/2,-z'
'x,-y+1/2,z'
loop_
_atom_site_label
_atom_site_type_symbol
_atom_site_fract_x
_atom_site_fract_y
_atom_site_fract_z
Th1 Th 0.072 0.250 0.204
Th2 Th 0.202 0.750 0.413
Ge1 Ge 0.199 0.750 0.111
Rh1 Rh 0.000 0.000 0.000
Rh2 Rh 0.041 0.250 0.786
Rh3 Rh 0.081 0.519 0.605
Rh4 Rh 0.216 0.250 0.415
```

---

# 4
Here is a geometry-optimized AcYSb structure from Alexandria. Energies are from PBE.

Output
**Spin magnetization**: 0.330 μB per atom
**E_form (uncorrected)**: -14.41 kcal/mol of atoms
**DOS at the Fermi energy**: 0.78 states/eV/atom
**E**: -33.14 eV per cell
**Relative energy among the computed polymorphs**: 0.00 eV per formula unit

The structure in CIF format:
```
data_AcYSb
_cell_length_a 4.094
_cell_length_b 4.094
_cell_length_c 12.062
_cell_angle_alpha 90.00
_cell_angle_beta 90.00
_cell_angle_gamma 90.00
_symmetry_space_group_name_H-M 'I 4 m m'
_symmetry_Int_Tables_number 107
_symmetry_space_group_name_Hall 'I 4 -2'
loop_
_atom_site_label
_atom_site_type_symbol
_atom_site_fract_x
_atom_site_fract_y
_atom_site_fract_z
Ac1 Ac 0.000 0.000 0.000
Y1 Y 0.000 0.000 0.292
Sb1 Sb 0.000 0.000 0.683
```

---

# 5
Here is a geometry-optimized FeHg structure from Alexandria. Energies are from PBE.

Output
**Spin magnetization**: 1.404 μB per atom
**Energy of formation from the pure elements**: 0.613 eV per atom
**DOS at the Fermi energy**: 0.81 states/eV/atom
**E**: -15.08 eV per cell

The structure in CIF format:
```
data_FeHg
_cell_length_a 4.3199
_cell_length_b 4.3199
_cell_length_c 4.7984
_cell_angle_alpha 90.00
_cell_angle_beta 90.00
_cell_angle_gamma 120.00
_symmetry_space_group_name_H-M 'P 63/m m c'
_symmetry_Int_Tables_number 194
_symmetry_space_group_name_Hall '-P 6c 2c'
loop_
'''
Result:
**DOS at the Fermi energy**: 0.55 states/eV/atom
**DOS at the Fermi energy**: 0.89 states/eV/atom
**Relative energy among the computed polymorphs**: 0.00 eV per formula unit
**DOS at the Fermi energy**: 0.60 states/eV/atom
**DOS at the Fermi energy**: 0.78 states/eV/atom
**Relative energy among the computed polymorphs**: 0.00 eV per formula unit
**DOS at the Fermi energy**: 0.81 states/eV/atom